• Activity:
Could you type out only the lines below with the word "Ca2ZnAu2" in them?

• Listing:
┌──
# CaVAu
Simulated XRD peak list, copper Kα. Input: a crystal structure in Alexandria, relaxed with GGA-PBE.
Intensities are scaled so that the largest is 100.

Top 8 peaks for 10° ≤ 2θ ≤ 80°, low angle first:
15.4 deg, 5.744 Å, I = 100, (0 0 1)
17.0 deg, 5.223 Å, I = 63, (0 1 0)
27.6 deg, 3.235 Å, I = 32, (1 -1 0)
31.9 deg, 2.802 Å, I = 25, (1 1 -1)
32.2 deg, 2.780 Å, I = 34, (0 1 2)
36.7 deg, 2.446 Å, I = 51, (1 0 2)
38.4 deg, 2.345 Å, I = 59, (1 2 1)
40.9 deg, 2.208 Å, I = 55, (2 0 0)

Structure:
a b c (Å): 4.4437 5.3728 5.8882
angles (deg): 77.43 86.87 84.35
Space group P-1 (No. 2)
Unique sites:
Ca  0.2407  0.2642  0.4027
V  0.1887  0.9021  0.9974
Au  0.2791  0.4143  0.8641

=====

# CaY4Au5
Simulated XRD peak list, copper Kα. Input: a crystal structure in Alexandria, relaxed with GGA-PBE.
Intensities are scaled so that the largest is 100.

Top 8 peaks for 10° ≤ 2θ ≤ 80°, low angle first:
24.3 deg, 3.658 Å, I = 10, (0 0 5)
24.8 deg, 3.597 Å, I = 21, (1 0 0)
35.0 deg, 2.565 Å, I = 100, (1 0 5)
35.3 deg, 2.543 Å, I = 50, (1 1 0)
50.8 deg, 1.798 Å, I = 18, (2 0 0)
62.6 deg, 1.485 Å, I = 17, (1 1 10)
63.1 deg, 1.472 Å, I = 36, (2 1 5)
73.9 deg, 1.282 Å, I = 11, (2 0 10)

Structure:
a b c (Å): 3.5968 3.5968 18.2889
angles (deg): 90.00 90.00 90.00
Space group P4/mmm (No. 123)
Unique sites:
Ca  0.0000  0.0000  0.0000
Y  0.0000  0.0000  0.2004
Y  0.0000  0.0000  0.4005
Au  0.5000  0.5000  0.1088
Au  0.5000  0.5000  0.3015
Au  0.5000  0.5000  0.5000

=====

# Ca5Zn2Au5
Simulated XRD peak list, copper Kα. Input: a crystal structure in Alexandria, relaxed with GGA-PBE.
Intensities are scaled so that the largest is 100.

Top 8 peaks for 10° ≤ 2θ ≤ 80°, low angle first:
22.3 deg, 3.993 Å, I = 59, (1 1 0)
23.8 deg, 3.733 Å, I = 67, (2 0 -3)
31.7 deg, 2.826 Å, I = 58, (3 1 -3)
34.0 deg, 2.637 Å, I = 40, (1 1 -3)
38.1 deg, 2.359 Å, I = 100, (5 1 -1)
42.7 deg, 2.116 Å, I = 37, (0 2 0)
44.7 deg, 2.026 Å, I = 29, (3 1 2)
46.2 deg, 1.965 Å, I = 26, (7 1 -4)

Structure:
a b c (Å): 15.8023 4.2311 11.4505
angles (deg): 90.00 130.26 90.00
Space group C2/m (No. 12)
Unique sites:
Ca  0.0000  0.0000  0.0000
Ca  0.0994  0.0000  0.4131
Ca  0.1986  0.0000  0.8255
Zn  0.1435  0.5000  0.2577
Au  0.0000  0.5000  0.5000
Au  0.0638  0.5000  0.8535
Au  0.2356  0.5000  0.6650

=====

# Ca2ZnAu2
Simulated XRD peak list, copper Kα. Input: a crystal structure in Alexandria, relaxed with GGA-PBE.
Intensities are scaled so that the largest is 100.

Top 8 peaks for 10° ≤ 2θ ≤ 80°, low angle first:
24.3 deg, 3.667 Å, I = 100, (1 2 1)
26.3 deg, 3.394 Å, I = 29, (2 0 0)
28.8 deg, 3.098 Å, I = 25, (0 4 0)
29.1 deg, 3.064 Å, I = 27, (0 0 2)
39.4 deg, 2.288 Å, I = 37, (2 4 0)
39.6 deg, 2.274 Å, I = 38, (2 0 2)
41.5 deg, 2.178 Å, I = 36, (0 4 2)
45.2 deg, 2.008 Å, I = 26, (3 2 1)

Structure:
a b c (Å): 6.7886 12.3909 6.1278
angles (deg): 90.00 90.00 90.00
Space group Ibam (No. 72)
Unique sites:
Ca  0.1804  0.1436  0.0000
Zn  0.0000  0.5000  0.2500
Au  0.2363  0.3847  0.0000

=====

# Ca3Zn2Au6
Simulated XRD peak list, copper Kα. Input: a crystal structure in Alexandria, relaxed with GGA-PBE.
Intensities are scaled so that the largest is 100.

Top 8 peaks for 10° ≤ 2θ ≤ 80°, low angle first:
12.6 deg, 7.027 Å, I = 53, (1 1 0)
21.9 deg, 4.057 Å, I = 26, (2 1 1)
33.7 deg, 2.656 Å, I = 36, (3 2 1)
38.4 deg, 2.342 Å, I = 100, (3 3 0)
40.6 deg, 2.222 Å, I = 18, (4 2 0)
50.3 deg, 1.814 Å, I = 18, (5 2 1)
57.1 deg, 1.612 Å, I = 15, (5 3 2)
69.5 deg, 1.352 Å, I = 36, (6 3 3)

Structure:
a b c (Å): 9.9379 9.9379 9.9379
angles (deg): 90.00 90.00 90.00
Space group Im-3m (No. 229)
Unique sites:
Ca  0.0000  0.0000  0.3001
Zn  0.2500  0.2500  0.2500
Au  0.0000  0.3179  0.3179

=====

# Ca2Zn7Au12
Simulated XRD peak list, copper Kα. Input: a crystal structure in Alexandria, relaxed with GGA-PBE.
Intensities are scaled so that the largest is 100.

Top 8 peaks for 10° ≤ 2θ ≤ 80°, low angle first:
16.7 deg, 5.300 Å, I = 21, (1 1 0)
33.7 deg, 2.656 Å, I = 100, (2 1 1)
└──

• Here it is:
# Ca2ZnAu2